(1)
## TiNbS4 (meta-GGA r2SCAN)

Data for a geometry-optimized TiNbS4 structure.

magnetic moment	0.0	μB per cell
formation energy	-1.29	eV/atom

abc: 6.943 6.943 5.911
angles: 115.17 115.17 28.36
Sites, in units of the cell vectors:
Ti: 0.000 0.000 0.000
Nb: 0.500 0.500 0.500
S: 0.123 0.123 0.796
S: 0.380 0.380 0.718
S: 0.620 0.620 0.282
S: 0.877 0.877 0.204


(2)
## YbB2Ir3 (meta-GGA r2SCAN)

Data for a geometry-optimized YbB2Ir3 structure.

magnetic moment	0.0	μB per cell
formation energy	-0.77	eV/atom

abc: 5.408 5.408 3.139
angles: 90.00 90.00 120.00
Sites, in units of the cell vectors:
Yb: 0.000 0.000 0.000
B: 0.333 0.667 0.000
B: 0.667 0.333 0.000
Ir: 0.000 0.500 0.500
Ir: 0.500 0.000 0.500
Ir: 0.500 0.500 0.500


(3)
## Dy2MgS4 (meta-GGA r2SCAN)

Data for a geometry-optimized Dy2MgS4 structure.

magnetic moment	0.0	μB per cell
energy above the lowest structure with this stoichiometry	0	meV/atom
formation energy	-2.17	eV/atom

abc: 7.869 7.869 7.869
angles: 60.00 60.00 60.00
Sites, in units of the cell vectors:
Dy: 0.000 0.000 0.000
Dy: 0.000 0.000 0.500
Dy: 0.000 0.500 0.000
Dy: 0.500 0.000 0.000
Mg: 0.375 0.375 0.375
Mg: 0.625 0.625 0.625
S: 0.236 0.755 0.755
S: 0.245 0.245 0.245
S: 0.245 0.245 0.764
S: 0.245 0.764 0.245
S: 0.755 0.236 0.755
S: 0.755 0.755 0.236
S: 0.755 0.755 0.755
S: 0.764 0.245 0.245


> Which formula does entry 3 have?

Dy2MgS4

* * * * *

Crystalline Rb3YI6 at its relaxed geometry, computed with PBE.

Properties
Raw total energy: -3.275 eV/atom
E_form: -1.647 eV/atom

abc: 13.0019 13.0019 13.0019
angles: 90.00 90.00 90.00
Last column: nearest neighbours and their distance in Å.
Space group Fm-3m (No. 225)
Asymmetric unit:
Rb  0.0000  0.0000  0.0000 (multiplicity 4)  6 I 3.48
Rb  0.2500  0.2500  0.2500 (multiplicity 8)  12 I 4.60
Y  0.0000  0.0000  0.5000 (multiplicity 4)  6 I 3.02
I  0.0000  0.0000  0.2674 (multiplicity 24)  1 Y 3.02

* * * * *

Computed, not measured: a relaxed structure of ZrNiSb at the meta-GGA r2SCAN level of DFT.

```
ZrNiSb
1.0
4.1492 0.0000 0.0000
0.0000 6.7634 0.0000
0.0000 0.0000 7.6134
Zr Sb Ni
4 4 4
direct
0.7500 0.5006 0.3069
0.2500 0.4994 0.6931
0.7500 0.0006 0.1931
0.2500 0.9994 0.8069
0.7500 0.2056 0.5920
0.7500 0.7056 0.9080
0.2500 0.2944 0.0920
0.2500 0.7944 0.4080
0.2500 0.1813 0.4104
0.2500 0.6813 0.0896
0.7500 0.8187 0.5896
0.7500 0.3187 0.9104
```

Results
- VASP energy (eV per atom) = -20.828
- SG = Pnma (62)
- total magnetization (μB per atom) = 0.000
- energy of formation (eV/atom) = -0.68

* * * * *

1.
## Fe4AgXeF5 (PBE+U)

Data for a relaxed Fe4AgXeF5 crystal.

Lattice parameters (Å, degrees): 6.7822 6.7822 17.2811 90.00 90.00 90.00
Space group I4/m (No. 87)
Symmetry-distinct sites (fractional):
Fe 0.0841 0.6940 0.1894
Ag 0.0000 0.5000 0.0000
Xe 0.0000 0.0000 0.3950
F 0.0000 0.0000 0.2100
F 0.1173 0.2794 0.1052

Results
Formation energy from the elements   -89.6 kJ/mol of atoms
E   -4.110 eV per atom

***

2.
## Li2FeSi6O15 (PBE+U)

Data for a relaxed Li2FeSi6O15 crystal.

Lattice parameters (Å, degrees): 6.9978 12.7009 7.5383 90.00 111.91 90.00
Space group P2_1 (No. 4)
Symmetry-distinct sites (fractional):
Li 0.1469 0.0000 0.4581
Li 0.1727 0.1686 0.1627
Fe 0.2629 0.5887 0.7519
Si 0.0016 0.4928 0.0249
Si 0.0348 0.6716 0.3128
Si 0.3039 0.8267 0.9106
Si 0.3073 0.3285 0.7059
Si 0.4625 0.4972 0.1922
Si 0.4937 0.6755 0.4760
O 0.0176 0.0306 0.1860
O 0.0417 0.6023 0.4951
O 0.0687 0.1001 0.8843
O 0.0923 0.2817 0.7125
O 0.1478 0.8940 0.9817
O 0.1748 0.7227 0.8096
O 0.2332 0.4551 0.1679
O 0.2640 0.7064 0.3272
O 0.2915 0.4530 0.6620
O 0.3500 0.2705 0.5291
O 0.3663 0.9010 0.7591
O 0.4327 0.0683 0.6109
O 0.4479 0.5628 0.0038
O 0.4860 0.2984 0.9105
O 0.4874 0.1542 0.3076

Results
Formation energy from the elements   -275.4 kJ/mol of atoms
Distance to the lowest polymorph of the same formula   29 meV/atom
E   -7.292 eV per atom

***

3.
## Ba2VI5O17 (PBE+U)

Data for a relaxed Ba2VI5O17 crystal.
It remains to filter the entries further above: keep the lines with the word "TiNbS4".
## TiNbS4 (meta-GGA r2SCAN)
Data for a geometry-optimized TiNbS4 structure.